I don’t know about you, but a few years back, when Pluto was demoted from planet status, I somehow felt a loss. It was a scientifically significant move, however, as there are strict definitions of just what a planet is. Now the COVID-19 novel coronavirus is officially a pandemic. What does this mean?
Between two parts of the entry: records of crystals.
********
Diffraction record for ScInO3. The powder XRD pattern is computed, not measured: it uses a structure optimized by DFT (GGA-PBE) and copper Kα.
Intensities are scaled so that the largest is 100.

Most intense lines, 15 to 90 degrees two-theta, sorted by position:
index, two_theta, d/Å, I (rel.)
0 0 4, 28.00, 3.187, 53
1 0 0, 29.76, 3.002, 45
1 0 1, 30.59, 2.922, 27
1 0 2, 32.98, 2.716, 100
1 0 4, 41.32, 2.185, 58
1 1 0, 52.80, 1.734, 78
1 1 4, 60.84, 1.523, 32
2 0 2, 63.69, 1.461, 15
1 1 8, 82.16, 1.173, 21
2 1 2, 87.28, 1.117, 13

Crystal structure
```
ScInO3
1.0
3.466 0.000 0.000
-1.733 3.002 0.000
0.000 0.000 12.749
Sc In O
2 2 6
direct
0.333 0.667 0.250 Sc
0.667 0.333 0.750 Sc
0.000 0.000 0.000 In
0.000 0.000 0.500 In
0.000 0.000 0.250 O
0.000 0.000 0.750 O
0.333 0.667 0.082 O
0.333 0.667 0.418 O
0.667 0.333 0.582 O
0.667 0.333 0.918 O
```


For HfBe9Ru2, a structure optimized by DFT (PBE) gives the calculated powder XRD pattern in this record (copper Kα).
Neutral-atom scattering factors, no anomalous dispersion.

Most intense lines, 15° ≤ 2θ ≤ 90°, sorted by position:
2θ = 23.3°, I 523
2θ = 24.1°, I 1000
2θ = 25.6°, I 339
2θ = 34.9°, I 248
2θ = 40.1°, I 838
2θ = 40.9°, I 584
2θ = 48.1°, I 216
2θ = 48.9°, I 486
2θ = 58.6°, I 235
2θ = 73.9°, I 271

Crystal structure
a = 4.4133 Å, b = 4.4133 Å, c = 13.9059 Å
α = 90.00°, β = 90.00°, γ = 120.00°
Fractional positions:
Hf 0.3333 0.6667 0.2500
Hf 0.6667 0.3333 0.7500
Be 0.0000 0.0000 0.0000
Be 0.0000 0.0000 0.2500
Be 0.0000 0.0000 0.5000
Be 0.0000 0.0000 0.7500
Be 0.1703 0.3405 0.6198
Be 0.1703 0.3405 0.8802
Be 0.1703 0.8297 0.6198
Be 0.1703 0.8297 0.8802
Be 0.3333 0.6667 0.7500
Be 0.3405 0.1703 0.1198
Be 0.3405 0.1703 0.3802
Be 0.6595 0.8297 0.6198
Be 0.6595 0.8297 0.8802
Be 0.6667 0.3333 0.2500
Be 0.8297 0.1703 0.1198
Be 0.8297 0.1703 0.3802
Be 0.8297 0.6595 0.1198
Be 0.8297 0.6595 0.3802
Ru 0.3333 0.6667 0.0380
Ru 0.3333 0.6667 0.4620
Ru 0.6667 0.3333 0.5380
Ru 0.6667 0.3333 0.9620

---

For SrSnAu, a structure optimized by DFT (PBE) gives the calculated powder XRD pattern in this record (copper Kα).
Neutral-atom scattering factors, no anomalous dispersion.

Most intense lines, 15° ≤ 2θ ≤ 90°, sorted by position:
2θ = 22.5°, I 346
2θ = 30.3°, I 343
2θ = 31.0°, I 1000
2θ = 31.1°, I 419
2θ = 35.7°, I 369
2θ = 36.8°, I 544
2θ = 37.1°, I 930
2θ = 43.8°, I 338
2θ = 52.2°, I 254
2θ = 59.5°, I 344

Crystal structure
a = 4.8864 Å, b = 15.8176 Å, c = 8.3792 Å
α = 90.00°, β = 90.00°, γ = 90.00°
Fractional positions:
Sr 0.2500 0.0032 0.2107
Sr 0.2500 0.2500 0.2959
Sr 0.2500 0.4968 0.2107
Sr 0.2500 0.7500 0.2951
Sr 0.7500 0.2500 0.7049
Sr 0.7500 0.5032 0.7893
Sr 0.7500 0.7500 0.7041
Sr 0.7500 0.9968 0.7893
Sn 0.2500 0.0972 0.5864
Sn 0.2500 0.4028 0.5864
Sn 0.2500 0.6535 0.9154
Sn 0.2500 0.8465 0.9154
Sn 0.7500 0.1535 0.0846
Sn 0.7500 0.3465 0.0846
Sn 0.7500 0.5972 0.4136
Sn 0.7500 0.9028 0.4136
Au 0.2500 0.1398 0.9144
Au 0.2500 0.3602 0.9144
Au 0.2500 0.6001 0.5847
Au 0.2500 0.8999 0.5847
********
As the human race has spread across the world, so have infectious diseases. They have plagued (!) humanity since its earliest days. Mankind’s gradual transition to an agricultural society increased the scale and spread of these diseases dramatically. Widespread trade created new opportunities for human interactions, and that sped up epidemics. It was at that point that diseases like malaria, tuberculosis, leprosy, influenza, and smallpox appeared. So, as we became more civilized with larger cities, exotic trade routes, and increased contact with different populations, pandemics started to appear.
A pandemic refers to the geographic spread of a disease; it is an epidemic that crosses international boundaries. The World Health Association (WHO) has declared that COVID-19 is a pandemic, stating that it was using the term because of deep concern over "alarming levels of inaction" over the virus. The term “pandemic” communicates how critical it is that countries throughout the world work cooperatively and openly with one another, come together as a united front, and utilize any and all resources available. There is currently a worldwide race to find both the first safe and effective vaccine, and to discover effective treatments.
Earlier pandemics killed more people (think Black Death during the 1300s), but the first truly global pandemic was declared in 1881 when cholera killed more than 1.5 million people worldwide. However, that was eclipsed by the 1918 Spanish flu pandemic, which was estimated to have infected some 500 million people (one-third of the world’s population!). It ended up killing approximately 50 million. More American soldiers in the First World War died from that flu pandemic than were killed in battle. More recently, we experienced the Asian Flu in 1957, the Hong Kong Flu in 1968, and most recently SARS, MERS, Ebola and now COVID-19.
Despite the persistence of disease throughout history, let’s remember that the one constant trend over time is a gradual reduction in death rates due to advancements in communication, knowledge of disease states and treatment, and overall higher levels of health.
Government cannot contain the COVID-19 pandemic alone. I urge each of you to act now in the very most responsible way. The rate and speed of spread of this disease directly depends on what each of us does in our own lives to distance ourselves from others. COVID-19 was initially recognized as having a far higher fatality rate for the sick and elderly, but new data suggests that even people ages 20-54 are being seriously affected. Please educate yourself about the risks of this disease. Please encourage your friends and family members to go out in public only when absolutely necessary. Please use soap and water, or antiseptic gel. We will only flatten that all-important curve, and change the course of this pandemic, with our individual efforts!